== Request ==
The reader should count the lines further below that contain the word "C2" and give the number alone.

== Excerpt ==
~~~
# 1
10
Lattice="7.159 -3.242 0.000 7.159 3.242 0.000 -5.104 0.000 8.632" Properties=species:S:1:pos:R:3 comment="Sn2SI2, optimized geometry, DFT PBE" total_energy_ev_per_cell=-34.77 sg="C2/m, No. 12" pbc="T T T"
Sn -1.092 0.000 2.921
Sn -0.072 0.000 7.713
Sn 9.286 0.000 0.919
Sn 10.306 0.000 5.711
S -1.447 0.000 5.550
S 10.660 0.000 3.082
I 2.114 0.000 0.566
I 2.616 0.000 6.013
I 6.598 0.000 2.618
I 7.100 0.000 8.065



# 2
5
Lattice="5.506 0.000 0.000 0.000 5.506 0.000 0.000 0.000 5.506" Properties=species:S:1:pos:R:3 comment="Ca3ScRe, optimized geometry, DFT PBE" dos_at_fermi_per_ev_fu=12.3 sg="Pm-3m, No. 221" delta_e_f_ev_per_atom=0.914 pbc="T T T"
Ca 0.000 0.000 2.753
Ca 0.000 2.753 0.000
Ca 2.753 0.000 0.000
Sc 2.753 2.753 2.753
Re 0.000 0.000 0.000



# 3
20
Lattice="8.971 0.000 0.000 -4.486 7.769 0.000 0.000 0.000 5.661" Properties=species:S:1:pos:R:3 comment="Sc7P3, optimized geometry, DFT PBE" dos_at_fermi_per_ev_fu=10.0 sg="P6_3mc, No. 186" delta_e_f_ev_per_atom=-0.955 pbc="T T T"
Sc -1.776 4.154 0.000
Sc 0.000 1.917 1.490
Sc -2.825 6.811 1.490
Sc 1.660 0.959 4.321
Sc 0.000 5.180 2.502
Sc 1.776 4.154 0.000
Sc 0.000 7.230 0.000
Sc 4.486 0.539 2.830
Sc 2.710 3.615 2.830
Sc 4.486 2.590 5.332
Sc 2.825 6.811 1.490
Sc 7.311 0.959 4.321
Sc 4.486 5.852 4.321
Sc 6.262 3.615 2.830
P 0.000 2.977 4.002
P -1.907 6.281 4.002
P 2.579 1.489 1.172
P 1.907 6.281 4.002
P 6.393 1.489 1.172
P 4.486 4.792 1.172



# 4
10
Lattice="5.713 0.000 0.000 0.000 5.713 0.000 0.000 0.000 5.737" Properties=species:S:1:pos:R:3 comment="Ac2TlBiO6, optimized geometry, DFT PBE" total_energy_ev_per_cell=-64.47 sg="P4mm, No. 99" pbc="T T T"
Ac 0.000 2.857 0.000
Ac 2.857 0.000 0.000
Tl 0.000 0.000 3.211
Bi 2.857 2.857 3.245
O 0.000 0.000 1.067
O 1.414 1.414 4.282
O 1.414 4.299 4.282
O 2.857 2.857 0.904
O 4.299 1.414 4.282
O 4.299 4.299 4.282



# 5
6
Lattice="3.859 0.000 0.000 -1.929 3.342 0.000 0.000 0.000 10.790" Properties=species:S:1:pos:R:3 comment="KInC, optimized geometry, DFT PBE" dos_at_fermi_per_ev_fu=0.0 sg="P6_3/mmc, No. 194" delta_e_f_ev_per_atom=0.763 pbc="T T T"
K 0.000 0.000 0.000
K 0.000 0.000 5.395
In 0.000 2.228 2.697
In 1.929 1.114 8.092
C 0.000 2.228 8.092
C 1.929 1.114 2.697



# 6
16
Lattice="7.231 0.000 0.000 0.000 14.533 0.000 0.000 0.000 5.050" Properties=species:S:1:pos:R:3 comment="Pr5Dy2Tl, optimized geometry, DFT PBE" dos_at_fermi_per_ev_fu=11.8 sg="Pbam, No. 55" delta_e_f_ev_per_atom=-0.046 pbc="T T T"
Pr 0.000 0.000 0.000
Pr 0.029 3.799 0.000
Pr 1.792 1.835 2.525
Pr 1.823 9.102 2.525
Pr 3.586 11.065 0.000
Pr 3.616 7.266 0.000
Pr 3.645 3.468 0.000
Pr 5.408 5.431 2.525
Pr 5.439 12.697 2.525
Pr 7.202 10.734 0.000
Dy 1.798 12.768 2.525
Dy 1.817 5.501 2.525
Dy 5.414 9.031 2.525
Dy 5.433 1.765 2.525
Tl 0.000 7.266 0.000
Tl 3.616 0.000 0.000



# 7
10
Lattice="5.024 0.000 0.000 0.000 5.024 0.000 0.000 0.000 11.788" Properties=species:S:1:pos:R:3 comment="Ba2Ag4Bi3Sb, optimized geometry, DFT PBE" total_energy_ev_per_cell=-35.12 dos_at_fermi_per_ev_fu=4.6 sg="P-4m2, No. 115" pbc="T T T"
Ba 0.000 2.512 2.900
Ba 2.512 0.000 8.888
Ag 0.000 0.000 0.000
Ag 0.000 2.512 7.399
Ag 2.512 0.000 4.389
Ag 2.512 2.512 0.000
Bi 0.000 2.512 10.243
Bi 2.512 0.000 1.545
Bi 2.512 2.512 5.894
Sb 0.000 0.000 5.894



# 8
10
Lattice="7.007 0.000 0.000 0.000 7.007 0.000 0.000 0.000 5.873" Properties=species:S:1:pos:R:3 comment="Rb2SnPd2, optimized geometry, DFT PBE" dos_at_fermi_per_ev_fu=2.9 sg="P4/mbm, No. 127" delta_e_f_ev_per_atom=-0.095 pbc="T T T"
Rb 1.242 2.262 0.000
Rb 2.262 5.765 0.000
Rb 4.745 1.242 0.000
Rb 5.765 4.745 0.000
Sn 0.000 0.000 2.937
Sn 3.503 3.503 2.937
Pd 0.976 4.480 2.937
Pd 2.527 0.976 2.937
Pd 4.480 6.031 2.937
Pd 6.031 2.527 2.937
~~~

== Completed ==
1